3 Tips for Planning Your Monthly Mortgage Payment

3 Tips for Planning Your Monthly Mortgage PaymentOnce you’ve purchased a home and decided on a move in date, it may seem like a lot of the hard stuff is over, but you still have one of the most important things relating to such a large purchase to think about: the payments! If you’re looking for a few tips on ways to approach your monthly payment, the following will steer you in the right direction so you can broach your mortgage schedule successfully.

Set Up A Payment Schedule

Many people have been in the situation of neglecting their phone or credit cards by forgetting about the payment due dates, but this can cause a lot of strife when it comes to an investment as large as your home. Instead of leaving it to chance, choose a day each month and ensure that your bank is transferring the funds over automatically so you never have to worry about missing a payment. This will help you retain a reputation as a responsible borrower and it means you won’t have to deal directly with this important expenditure each month.

Be Aware Of Ways To Pay

Instead of being in the dark about ways to pay your mortgage each month, talk to your bank about your options for making your monthly payments in a timely, hassle-free manner. Before you get into the nitty-gritty of home ownership, look into this as soon as you’ve signed off on the papers so you know the best way to approach each month. This will prepare you for your approximate total mortgage payment.

Is It Really Affordable?

## Here the entry breaks off for records of crystals
********
The following is a simulated XRD peak list of Li6AcPb6. It was derived from a PBE-relaxed structure, using Cu Ka.

The 10 most intense peaks (10° ≤ 2θ ≤ 90°), by angle:
| index | 2theta | I/Imax |
| --- | --- | --- |
| 0 2 0 | 18.0 | 59 |
| 1 2 1 | 24.8 | 23 |
| 2 0 0 | 29.5 | 51 |
| 1 0 3 | 29.6 | 100 |
| 2 2 0 | 34.8 | 27 |
| 1 2 3 | 34.9 | 52 |
| 1 3 2 | 35.6 | 29 |
| 2 4 0 | 47.7 | 21 |
| 3 0 3 | 52.4 | 21 |
| 2 6 0 | 64.7 | 41 |

Structural model:
```
data_Li6AcPb6
_cell_length_a 6.062
_cell_length_b 9.834
_cell_length_c 10.431
_cell_angle_alpha 90.00
_cell_angle_beta 90.00
_cell_angle_gamma 90.00
_space_group_name_H-M_alt 'I m m m'
_space_group_IT_number 71
_space_group_name_Hall '-I 2 2'
loop_
_atom_site_label
_atom_site_fract_x
_atom_site_fract_y
_atom_site_fract_z
_atom_site_occupancy
Li1 0.000 0.246 0.000 1
Li2 0.250 0.250 0.250 1
Ac1 0.000 0.500 0.500 1
Pb1 0.000 0.000 0.174 1
Pb2 0.000 0.154 0.500 1
Pb3 0.000 0.500 0.158 1
```

=====

The following is a simulated XRD peak list of Li3AcPb3. It was derived from a PBE-relaxed structure, using Cu Ka.

The 10 most intense peaks (10° ≤ 2θ ≤ 90°), by angle:
| index | 2theta | I/Imax |
| --- | --- | --- |
| 2 0 0 | 24.2 | 38 |
| 2 1 0 | 27.1 | 100 |
| 2 1 1 | 29.7 | 92 |
| 3 2 0 | 44.4 | 27 |
| 3 2 1 | 46.2 | 57 |
| 4 0 0 | 49.6 | 23 |
| 4 2 1 | 57.4 | 26 |
| 5 2 0 | 68.7 | 23 |
| 5 2 1 | 70.0 | 17 |
| 6 1 1 | 80.5 | 18 |

Structural model:
```
data_Li3AcPb3
_cell_length_a 7.358
_cell_length_b 7.358
_cell_length_c 7.358
_cell_angle_alpha 90.00
_cell_angle_beta 90.00
_cell_angle_gamma 90.00
_space_group_name_H-M_alt 'P m -3 n'
_space_group_IT_number 223
_space_group_name_Hall '-P 4n 2 3'
loop_
_atom_site_label
_atom_site_fract_x
_atom_site_fract_y
_atom_site_fract_z
_atom_site_occupancy
Li1 0.000 0.250 0.500 1
Ac1 0.000 0.000 0.000 1
Pb1 0.000 0.500 0.250 1
```

=====

The following is a simulated XRD peak list of Li3Ac2PmPb4. It was derived from a PBE-relaxed structure, using Cu Ka.

The 10 most intense peaks (10° ≤ 2θ ≤ 90°), by angle:
| index | 2theta | I/Imax |
| --- | --- | --- |
| 1 0 2 | 23.4 | 37 |
| 1 1 1 | 27.1 | 16 |
| 1 0 3 | 28.5 | 21 |
| 1 1 2 | 29.9 | 100 |
| 1 0 4 | 34.5 | 17 |
| 2 0 0 | 37.2 | 43 |
| 1 0 5 | 41.0 | 18 |
| 2 2 0 | 53.6 | 15 |
| 1 1 7 | 58.9 | 16 |
| 3 1 2 | 62.6 | 25 |

Structural model:
```
data_Li3Ac2PmPb4
_cell_length_a 4.835
_cell_length_b 4.835
_cell_length_c 12.348
_cell_angle_alpha 90.00
_cell_angle_beta 90.00
_cell_angle_gamma 90.00
_space_group_name_H-M_alt 'P -4 m 2'
_space_group_IT_number 115
loop_
_space_group_symop_operation_xyz
'x,y,z'
'y,-x,-z'
'-x,-y,z'
'-y,x,-z'
'-x,y,z'
'-y,-x,-z'
'x,-y,z'
'y,x,-z'
loop_
_atom_site_label
_atom_site_fract_x
_atom_site_fract_y
_atom_site_fract_z
_atom_site_occupancy
Li1 0.000 0.000 0.000 1
Li2 0.000 0.500 0.622 1
Ac1 0.000 0.500 0.274 1
Pm1 0.500 0.500 0.000 1
Pb1 0.000 0.000 0.500 1
Pb2 0.000 0.500 0.842 1
Pb3 0.500 0.500 0.500 1
```

=====
********

If you’re associated with a lender you trust, you’ve probably already been made aware of the amount of house you can and can’t afford, but ensure you’ve sat down and thought about what all the added interest on your home means. While it can certainly be a huge financial commitment for anyone to commit to a monthly mortgage payment, being able to swing the expense consistently is the difference between financial well-being and a purchase you’ll come to regret.

Making the decision to invest in a home can be one of the most exciting things you’ll commit to in adulthood, but ensure you’re aware of just what your monthly mortgage means so that it’s not something you’ll look back on. If you’re currently on the market for a home, contact your local mortgage professionals for more information.

Ready to Be a Landlord? Important Considerations Before Renting Your Home

Ready to Be a Landlord? Important Considerations Before Renting Your HomeWhether you’re going away on an extended vacation or considering downsizing into a smaller place, the popularity of websites like Airbnb has led many people to believe that there’s a lot of money in home rental. However, before putting your home on the market, it’s important to be aware of some of the factors that go into having a rental property. It may seem like extra money, but it’s the small details that can make it a more complicated process.

Is It A Short Term Solution

Many people plan on putting their home on the market for a short duration of time, but if you’re only planning on renting for 6 months or a year, it may not be as financially lucrative as you think. While tax breaks can go along with rental properties, the money you make off of this kind of investment is taxable so if you’re not in it for a slightly longer haul, you may not see the financial boost you’re looking for.

What Are You Willing To Deal With?

For those who are planning to put a home on the market, they still need some place to live, and this can mean that a certain amount needs to be made each month for the costs of having two homes even out. Before putting any serious considerations into this, ensure that you know it’s financially feasible. It’s entirely possible that you won’t have renters for certain periods of time and you could also run into problems with the renters you find, so you should sit down and put pen to paper to consider the investment potential.

_Someone pasted materials data at this point_
........
Calculated powder XRD pattern
Compound: CaV4Pd3O12
Radiation: Cu Kα
Structure: a GGA+U-relaxed structure

Cell and atoms:
a b c (Å): 6.5206 6.5206 6.5206
angles (deg): 109.47 109.47 109.47
Atoms (fractional coordinates):
1 Ca 0.0000 0.0000 0.0000
2 V 0.0000 0.0000 0.5000
3 V 0.0000 0.5000 0.0000
4 V 0.5000 0.0000 0.0000
5 V 0.5000 0.5000 0.5000
6 Pd 0.0000 0.5000 0.5000
7 Pd 0.5000 0.0000 0.5000
8 Pd 0.5000 0.5000 0.0000
9 O 0.1143 0.2955 0.8188
10 O 0.1812 0.4767 0.2955
11 O 0.1812 0.8857 0.7045
12 O 0.2955 0.1812 0.4767
13 O 0.2955 0.8188 0.1143
14 O 0.4767 0.2955 0.1812
15 O 0.5233 0.7045 0.8188
16 O 0.7045 0.1812 0.8857
17 O 0.7045 0.8188 0.5233
18 O 0.8188 0.1143 0.2955
19 O 0.8188 0.5233 0.7045
20 O 0.8857 0.7045 0.1812

The 10 most intense peaks (10 to 90 degrees two-theta), sorted by position:
d [Å]	intensity
5.324	9
3.765	8
3.074	9
2.662	100
2.381	5
2.174	11
1.882	28
1.537	47
1.331	14
1.190	16
........

Have You Considered The Maintenance?

Out of sight is often out of mind, but if you have a renter, you’re responsible for anything that goes wrong in the home. From small maintenance duties to sizeable but necessary overhauls, there are many things you’re legally obligated to do as a landlord and you’ll need to be prepared to take on these responsibilities. Since it will be the duty of the owner, in the event you don’t want to do it, you’ll have to hire a contractor who will be able to handle the work for you.

Having a house as a second property may seem like an ideal investment, but this can require you to take on the responsibilities of a landlord and you may even have to deal with problematic rental situations. If you’re searching for an additional property in the near future, contact your local mortgage professional for more information.

Mortgage Fraud: 3 Common Scams to Avoid

Mortgage Fraud: 3 Common Scams to AvoidThere are many ins and outs involved in securing a mortgage lender, and as a result there are many offers and options out there which are only around to take advantage of prospective homebuyers. If you’re on the lookout for a home and are trying to wade through all the details successfully, here are some things you may want to be aware of.

The Perfect Rental Deal

If you’ve ever rented an apartment in the past, it’s entirely possible that you’ve run into deals on Craigslist where a sizeable, stunning property is advertised at a very modest price. While scams like this are quite common when it comes to rentals, they also occur when scammers copy MLS listing and pretend to be an agent facilitating a real estate deal. There’s no sure way to avoid scams like these, but ensure you don’t hand over money or sign anything unless you’re 100% certain whom you’re dealing with.

Lenders Who Push The Envelope

Reliable lenders will be upfront with you when explaining the details associated with your mortgage, so it’s important to be cautious if you end up dealing with someone who asks you to exaggerate or embellish your financial claims. The only way to make a solid investment is to be honest about your financial situation, and anyone trying to inflate your income and the price you can pay is only hoping to gain a piece of the profit for themselves.

Investment Speakers And Seminars

With so much information out there, many people look for courses that will make them aware of the basics of investing so that they can do some of the legwork on their own. Courses like these can be useful in many cases but if they happen to be sponsored by an organization and are charging high attendance fees, there’s a good chance they’re trying to endorse their own services and may not be providing the most accurate information. Instead of guessing for yourself, you may want to read up on the basics and follow up with a trusted lender for any additional questions.

There’s a lot involved in delving into the real estate market, and that’s why it’s important to watch out for the kinds of things that may not be serving your best interest. If you’re currently looking for a lender and are planning on buying a home soon, contact your local mortgage professional for more information.